This month we will have a series of posts all about raising a happy, healthy feline friend and I’m so here for it!
Our cats are often overlooked when it comes to health, nutrition, enrichment and so much more. Heck, I even know people who will leave their cats alone for days. It makes me so sad.
This will be a series of posts because it’s just too much to fit into one, plus we have all month to celebrate our happy, healthy cats!
For whatever reason (and there are a few), cats are taken to the vet far less often than dogs. In my case, I think this is the opposite, but for most people, cats and vet visits are full of anxiety.
Having annual vet visits, or semi-annual for senior cats, is so incredibly important, especially for our cats because felines are notorious for hiding their ailments. More often than not, by the time symptoms get severe enough to bring your cat into the vet, the disease is far advanced and much harder to turn around, if even still possible.
I’ve been there, I know. I’d bet you’d be hard-pressed to find a cat parent who hadn’t experienced a similar issue.
That’s not to say we need to jab 💉 our cats every year, and we will talk more about that later in the series, but having a thorough check-up and blood work is very, very important! Having blood work done annually (or semi-annually) can give you and your veterinarian an opportunity to find issues and reverse them before they get too bad.
I could go on and on about food for our kitties, and if you’d like more detailed info here, let me know. Cats in the wild eat whole prey and thus have their fluid needs met by eating the whole raw animal. This means that most domestic cats will still avoid drinking water. I know I have a mix in my house of cats that will occasionally take a sip and others who I’ve never seen at the water bowl.
One way to help our kitties with water intake is to offer them a variety of ways to partake, such as large bowls of still water as well as water fountains. Some cats are more likely to partake in water consumption if the water is flowing. This is also a trait of the wild cat, cleaning themselves and drinking from flowing waterways.
As mentioned, if we can provide our cat with a biologically appropriate diet (fresh raw foods, balanced for your cat) all the better. Older cats are much more difficult to transition, though SF Raw has a great piece on how to transition your kitty.
If you aren’t able to do this, I’m right there with you. I’ve tried numerous times with my older cats and it just hasn’t happened. I will keep trying! In the meantime, I feed the best wet food I can as well as freeze-dried raw.
Entry w
ORCA calculation (ωB97M-V/def2-TZVPD) on a 2-piece molecular cluster, C3H7BrS overall.

Geometry as ORCA input:
```
! wB97M-V def2-TZVPD RIJCOSX def2/J DEFGRID3
* xyz 0 1
Br -0.592 1.615 1.273
S -0.567 -0.717 -0.773
C -1.667 0.430 -1.728
C 0.432 0.365 0.199
C 1.494 -0.921 1.589
H -2.228 0.881 -0.912
H 1.938 -1.694 1.003
H 1.280 0.762 -0.263
H -2.277 -0.190 -2.293
H 1.006 -1.484 2.349
H 2.321 -0.190 1.881
H -1.141 1.142 -2.325
*
```

Properties
E_HOMO   -8.8 eV
HOMO-LUMO gap   9.50 eV

=====

Entry x
ORCA calculation (ωB97M-V/def2-TZVPD) on a 2-piece molecular cluster, C3H7BrS overall.

Geometry as ORCA input:
```
! wB97M-V def2-TZVPD RIJCOSX def2/J DEFGRID3
* xyz 0 1
Br -0.121 3.341 -0.547
S -0.251 0.201 -2.093
C 0.536 -0.793 0.326
C 0.793 -0.483 -1.071
C -0.812 -0.298 0.832
H 1.717 -0.918 -1.501
H -1.448 -0.245 0.039
H -0.604 0.701 1.153
H 0.592 -2.011 0.333
H -1.213 -0.994 1.573
H -0.535 2.105 -0.030
H 1.343 -0.604 0.987
*
```

Properties
E_HOMO   -8.8 eV
HOMO-LUMO gap   8.65 eV
Structure (SMILES)   CCC=S.Br

=====

Most stable = entry x

=====

Entry w
ORCA calculation (ωB97M-V/def2-TZVPD) on a single C6H9N3 molecule.

Geometry as ORCA input:
```
! wB97M-V def2-TZVPD RIJCOSX def2/J DEFGRID3
* xyz 0 1
N 1.529 0.780 0.158
N -1.014 -0.485 -0.571
N 0.750 1.843 -0.127
C 0.984 -1.685 0.644
C -2.230 -0.482 0.103
C -0.533 1.808 0.047
C -1.090 0.480 0.453
C 0.100 -1.320 -0.562
C 1.377 -0.570 -0.303
H -1.110 2.696 -0.186
H -2.424 -1.263 0.851
H 1.453 -2.662 0.623
H -0.605 0.165 1.397
H 2.469 1.142 0.076
H 0.075 -2.057 -1.364
H 0.504 -1.504 1.591
H 2.171 -0.807 -0.999
H -3.032 -0.063 -0.500
*
```

Properties
E_HOMO   -8.1 eV
HOMO-LUMO gap   9.15 eV
Structure (SMILES)   C1=NN[C@H]2C[C@H]2N2C[C@H]12

=====

Entry x
ORCA calculation (ωB97M-V/def2-TZVPD) on a 3-piece molecular cluster, C6H9N3 overall.

Geometry as ORCA input:
```
! wB97M-V def2-TZVPD RIJCOSX def2/J DEFGRID3
* xyz 0 1
N 1.377 -1.361 -1.155
N -2.059 -0.276 0.209
N -0.064 0.257 4.150
C 1.617 1.170 -1.470
C 0.108 0.811 3.175
C -1.871 -2.413 -1.284
C 1.508 -0.255 -1.293
C -1.980 -1.222 -0.439
C 0.430 1.572 1.965
H -0.857 -2.790 -1.149
H -2.624 -3.043 -0.812
H 2.622 1.493 -1.197
H 0.044 0.923 1.179
H 0.044 2.592 1.975
H 0.847 1.569 -0.810
H -1.906 -2.235 -2.358
H 1.284 1.400 -2.482
H 1.480 1.809 1.795
*
```

Properties
E_HOMO   -11.5 eV
HOMO-LUMO gap   12.07 eV
Structure (SMILES)   CC#N.CC#N.CC#N

=====

Most stable = entry x

=====

Entry w
ORCA calculation (ωB97M-V/def2-TZVPD) on an isolated ion of composition C4H2ClO2 and charge -1.

Geometry as ORCA input:
```
! wB97M-V def2-TZVPD RIJCOSX def2/J DEFGRID3
* xyz -1 1
Cl 0.790 2.176 0.664
O -0.434 -1.154 1.420
O 2.921 -0.764 -0.670
C -0.506 -0.459 0.429
C 2.094 0.003 -0.258
C 0.923 0.417 0.154
C -1.603 -0.093 -0.291
H -2.477 -0.742 -0.325
H -1.709 0.616 -1.123
*
```

Properties
E_HOMO   -3.0 eV
HOMO-LUMO gap   6.42 eV
Structure (SMILES)   C=C([O-])C(Cl)=C=O

=====

Entry x
On the topic of food and water, a couple of other important topics to cover are types of bowls. I have used ceramic for many years after learning how terrible plastic bowls are for our pets. I recently found out that ceramic can be pretty bad too and that high-quality food-grade stainless is the best. I haven’t made the switch yet, but it is on my list.
Raising your cat’s bowls off of the ground is also important. It is not natural for a cat to eat off of the floor, even cats in the wild will carry their prey up to the higher ground to consume it. Elevating the bowl helps honor your cat as they are meant to be, and also helps aid in digestion. I use small cardboard boxes, but you can also buy nicer pieces if you choose.
Finally, to round out the topic of food and water for cats, do not feed your cat in the same location as their water bowls. It goes against all of their instincts. Keep these areas separate.
Oh! One more thing about food… pick up the all-day buffet. Feed kitty multiple small meals a day and they will be happier as well as healthier!
It’s not a pretty acronym, but follow this and your cat will surely thank you!
I mentioned before about honoring your cat for the special species they are and there is no better way to do this than to honor their natural hunting behaviors.
The more often you can do this for your cat, the better off you both will be, especially if you practice this right before your bedtime since it can give you time to sleep through the night without the kitty interrupting you.
Molecular data, kept here for reference:
{
  "formula": "C56H53BrClN6O2P2Pd",
  "method": "ωB97M-V/def2-TZVPD",
  "elements": ["Pd", "Br", "C", "C", "C", "C", "C", "C", "N", "N", "C", "C", "C", "C", "O", "C", "N", "C", "C", "C", "C", "H", "H", "H", "H", "H", "H", "H", "H", "H", "C", "C", "C", "C", "C", "O", "C", "C", "C", "C", "C", "C", "Cl", "C", "C", "C", "N", "C", "N", "C", "N", "H", "H", "H", "H", "H", "H", "H", "H", "H", "H", "H", "H", "H", "H", "H", "H", "H", "H", "H", "H", "H", "H", "C", "P", "C", "C", "C", "C", "C", "C", "C", "C", "C", "C", "C", "C", "P", "C", "C", "C", "C", "C", "C", "C", "C", "C", "C", "C", "C", "H", "H", "H", "H", "H", "H", "H", "H", "H", "H", "H", "H", "H", "H", "H", "H", "H", "H", "H", "H", "H", "H"],
Start with interactive play. Use a wand toy to let your cat chase the toy around the room or the house. Get a good 15-minute play session in, letting your cat catch the toy every so often. When you are both ready to quit, make sure your cat can catch the toy one last time for the kill!
Someone pasted molecular data at this point:
<one>
Density functional theory data (ωB97M-V with the def2-TZVPD basis set) for an isolated molecule of C5H11ClN2.

Results
E_LUMO   0.74 eV
SMILES   CC(C)(C)/C(N)=N/Cl
Highest occupied orbital energy   -9.123 eV

Positions of all 19 atoms, in Å:
H (-1.093, 1.267, 1.544)
C (1.114, 0.091, -0.072)
H (-0.325, -1.360, -1.846)
H (2.649, 1.325, 0.765)
H (-0.345, -1.127, 1.741)
C (-0.357, -0.040, -0.169)
H (1.058, 1.527, 1.378)
C (-0.709, -0.355, -1.606)
H (-0.273, 0.388, -2.276)
H (-0.511, 2.075, 0.084)
Cl (3.459, -1.087, -0.185)
N (1.758, -0.952, -0.475)
H (-1.913, -1.310, 0.765)
C (-1.045, 1.264, 0.462)
C (-0.831, -1.294, 0.662)
H (-1.757, -0.529, -1.840)
H (-0.397, -2.282, 0.238)
N (1.593, 1.169, 0.698)
H (-2.074, 1.229, 0.131)

<two>
Density functional theory data (ωB97M-V with the def2-TZVPD basis set) for C5H11ClN2 as an isolated structure.

Results
E_LUMO   0.73 eV
Highest occupied orbital energy   -8.104 eV

Positions of all 19 atoms, in Å:
H (1.175, 2.709, -0.815)
Cl (1.889, -1.954, 0.025)
C (-0.338, -0.734, -0.548)
H (1.934, 0.505, -1.135)
H (-1.966, -1.902, -1.126)
H (-0.491, 1.367, -0.010)
H (1.573, 2.412, 0.959)
H (0.020, -0.721, -1.648)
H (-1.508, -2.570, 0.427)
C (-1.534, -1.575, -0.109)
N (1.155, 1.992, 0.003)
H (-3.102, -0.129, 0.183)
H (-1.835, -0.153, 1.588)
H (2.751, 0.747, 0.529)
C (1.801, 0.701, -0.096)
H (0.697, -0.409, 1.377)
C (-1.989, -0.293, 0.451)
N (-1.146, 0.548, -0.322)
C (0.915, -0.541, 0.268)

Verdict on stability: <one> comes out on top.

<one>
Density functional theory data (ωB97M-V with the def2-TZVPD basis set) for C29H44BrF3IN8O4RbS2 as an isolated structure.

Results
E_LUMO   -0.08 eV
Highest occupied orbital energy   -7.904 eV

Positions of all 93 atoms, in Å:
H (-4.672, 0.718, 1.805)
C (-6.077, 1.914, -0.442)
H (1.571, -3.402, -2.852)
C (-1.437, -3.493, -2.816)
H (3.521, -3.215, -2.289)
C (0.070, 0.950, -2.700)
H (2.956, -0.470, -2.492)
H (0.669, -2.259, 4.692)
F (-4.698, 2.792, 3.288)
C (-0.321, -2.458, -2.833)
N (0.919, -2.937, -2.244)
H (-5.104, -0.440, -1.457)
H (3.345, -5.909, -0.827)
H (4.394, -3.661, -0.846)
H (2.377, -5.509, -2.244)
H (-1.597, 0.115, 5.629)
H (1.039, 1.460, -4.972)
C (1.876, 5.645, 1.422)
C (3.750, -1.898, 1.656)
F (-3.768, 4.409, 4.390)
O (-2.566, 3.280, 1.770)
H (3.161, -2.663, 2.145)
H (-1.155, -4.385, -3.378)
C (4.906, -2.229, 0.969)
H (2.345, 0.271, -4.823)
O (-0.415, 0.733, -1.606)
C (4.098, 0.415, 1.076)
C (5.278, 0.068, 0.423)
H (-2.635, -1.725, -0.498)
H (3.487, 4.273, 1.883)
H (2.592, 1.935, -4.265)
C (1.862, 1.125, -4.342)
H (-6.663, 2.111, 0.456)
H (-4.456, -1.976, -1.968)
C (-2.324, 3.116, 2.976)
H (-6.145, 2.792, -1.085)
H (-2.654, -0.849, -3.254)
H (2.972, 1.133, -1.737)
C (-4.625, 1.643, -0.078)
H (-2.341, -3.083, -3.270)
H (-0.651, -2.326, 3.517)
H (-1.661, -3.784, -1.790)
F (-3.434, 2.354, 4.982)
C (-3.682, -0.570, 0.702)
N (3.691, 1.766, 1.085)
C (2.329, 0.309, -2.055)
C (0.628, 5.745, 0.829)
H (4.138, -5.626, -2.383)
H (2.333, 6.506, 1.894)
H (-4.196, 2.513, 0.423)
Then, feed your cat their dinner. Once your cat finishes eating, she will clean herself and sleep. This is the routine a cat in the wild goes through numerous times a day, so giving this to your cat is the best gift possible.
These are just a few topics that will be included in this month of the cat! What we will talk about next week?!
P.S. September is also my birthday month, so I’m giddy with excitement over sharing it with our feline friends. More to come, so stick around!